Setting up Gentoo at CMU

A guide by Jim McCann.


I like to be able to use custom kernels, and I don't really like redhat (err, fedora), and so I decided -- after three years of working with the facilities install of fedora core 3 -- to move to my own install of Gentoo. At this point, everything appears to be working just fine -- but there were some tricky bits to the install. I hope these notes help you out. Feel free to contact me with questions or if you want specific config files. Of course, installing your own OS is a declaration of your willingness to go it alone!

Watch Out

I use static copies of many globally-synchronized configure files in this process; this means that inevitably they will get out of date at some point (like when printers are added or removed). Keep this in mind!

If you happen to come up with a quick shell script or otherwise that can sync them from their sources in depot/wherever let me know.

Install Medium

I used install-amd64-minimal-2008.0.iso as the install image, as this was the most up-to-date at the time.

I had some problems with install cds being various shades of flaky, and I figured I'd save some plastic trees, so I went with a LiveUSB install. The gentoo docs tutorial was quite out of date, so I ended up using part of this guide and the method of this post to actually make the stick bootable.

Thinking back now, I wonder if you could just boot the install kernel from a grub prompt without actually putting grub on the usb stick. (I.e. use the already-installed-on-hard-disk grub.)


I proceeded as per the handbook. Notes per section follow.

Preparing the disks

Disk shows up as /dev/hda (unexpected, as it's a SATA drive). This was probably because my SATA controller was not set to native mode in the BIOS. The partition layout from facilities is:

Thus, I wipe hda[1-3], which gives me enough for a standard /boot, swap, /, layout. (Saving redhat means I don't lose all my precious research results and I can pull config files over as needed.)

Installing Files

Waterloo looks like a good mirror (at least for the portage snapshot) as I was pulling something like 8 meg/sec. Skipping '-v' might be a good idea if using an svga terminal as scrolling seems to be the most intensive part of the process of un-tarring.

Even if /proc/cpuinfo says 'pentium4' setting '-march=pentium4' in the use flags is a bad idea (because gcc doesn't want to generate 64-bit code for this architecture).

For reference: I set USE="svg alsa mmx sse sse2 unicode acpi lm_sensors vim-syntax gtk X -cups png truetype type1 opengl spell xinerama latex jpeg tiff nls cjk". (I brought back 'cups' later.)

Installing the base system

I don't like interactive mode much, so I use:

mirrorselect -o -s 3

(Which for some reaon doesn't select Waterloo!)

mirrorselect -o -D -s 3

I used the 'desktop' profile and the en_US.UTF-8 locale.

Configuring the Kernel

Note: don't run /etc/init.d/clock from the chroot. (Not sure why I have this note.)

Configuring the bootloader

Rebooting works; ethernet needs Broadcom Tigon3.

Setting up X

USE 'fam' causes circular deps, so '-fam' in make.conf .


The redhat partitions are on LVM volumes. So:

emerge lvm2

Then various vg* commands to learn about the volume group. (Eventually added to fstab.)


I moved over to baselayout-2 for the newer lvm init scripts. Had to unmask baselayout-2.0.0 and openrc-2.5.

Kerberos (so you can use your SCS password to login)

Using reference to update /etc/pam.d/system-auth.


emerge -v mit-krb5 pam_krb5

........
*i*
{
  "formula": "C3H14O3S",
  "method": "ωB97M-V with the def2-TZVPD basis set",
  "mol_weight_g_mol": 130.21,
  "orbital_gap_ev": 9.3,
  "smiles": "CCCS.O.O.O",
  "homo_ev": -8.9674,
  "lumo_ev": 0.348,
  "elements": ["H", "H", "C", "S", "O", "O", "H", "H", "O", "H", "H", "H", "H", "H", "C", "C", "H", "H", "H", "H", "H"],
  "xyz": [[2.90, -1.26, 0.58], [-0.45, -1.30, -2.03], [2.35, -0.34, 0.44], [-0.82, -0.69, 3.12], [0.13, 2.07, -0.33], [-3.74, 0.97, -2.79], [1.11, 0.95, 1.75], [-4.21, 1.18, -1.98], [-0.62, -0.84, -2.85], [1.81, -0.42, -0.51], [-1.58, -0.68, -2.94], [1.96, -0.31, 2.54], [-3.77, 1.77, -3.33], [3.08, 0.47, 0.35], [1.43, -0.07, 1.61], [0.18, -0.94, 1.63], [0.02, -1.21, 3.97], [0.88, 1.89, -0.92], [0.40, -2.01, 1.63], [-0.46, -0.83, 0.75], [-0.60, 1.61, -0.70]]
}



*ii*
{
  "formula": "C3H14O3S",
  "method": "ωB97M-V with the def2-TZVPD basis set",
  "mol_weight_g_mol": 130.21,
  "orbital_gap_ev": 8.9,
  "smiles": "CCSC.O.O.O",
  "homo_ev": -8.3140,
  "lumo_ev": 0.632,
  "elements": ["H", "O", "C", "H", "H", "O", "H", "S", "H", "H", "H", "H", "C", "H", "C", "H", "H", "H", "H", "H", "O"],
  "xyz": [[-3.24, 0.73, -2.77], [-3.11, 0.61, -1.82], [-0.65, 0.84, 0.45], [1.32, 1.44, -0.38], [0.92, -0.26, 2.80], [-2.74, -0.22, 3.21], [-1.16, 1.68, 0.92], [1.82, -0.47, 0.71], [3.93, -0.62, -5.98], [-3.45, 0.32, 2.84], [-0.83, 0.70, -0.61], [-3.29, -0.97, 3.49], [0.87, 1.12, 0.55], [2.12, -1.52, 2.79], [1.22, -1.17, 2.29], [-2.67, 1.40, -1.49], [1.17, 1.76, 1.37], [4.32, -1.97, -5.43], [-0.83, -0.08, 1.00], [0.34, -1.78, 2.24], [3.93, -1.55, -6.20]]
}



Most stable one: *i*, least stable one: *ii*.



*i*
{
  "formula": "C5H40N2O14",
  "method": "ωB97M-V with the def2-TZVPD basis set",
  "mol_weight_g_mol": 352.38,
  "orbital_gap_ev": 8.3,
  "homo_ev": -8.2057,
  "lumo_ev": 0.046,
  "elements": ["H", "O", "C", "H", "H", "H", "H", "O", "H", "O", "H", "O", "H", "H", "C", "H", "O", "O", "H", "H", "H", "H", "C", "H", "H", "H", "O", "H", "O", "C", "H", "H", "O", "H", "O", "O", "H", "H", "N", "H", "O", "H", "H", "H", "O", "H", "H", "C", "H", "H", "N", "H", "H", "H", "H", "H", "O", "H", "H", "H", "H"],
........

Looks like the krb5.conf we have is super-big! I can copy it directly...

cp /mnt/redhad/etc/krb5.conf /etc/

This is kept up-to-date by depot, so it might be worth syncing every-so-often yourself.

At this point kinit jmccann@CS.CMU.EDU seems to work! However pam_krb5 doesn't work for login yet. With some debugging I realize that you need to set the hostname in /etc/conf.d/hostname to your fully qualified host name (in my case, Setting debug mode on pam_krb5 was quite useful for this part.

AFS (so you can access your files; depot; ...)


emerge -v openafs

Note: openafs-kernel failed for me, so I had to use the newer version (added to /etc/portage/package.keywords).


cd /etc/openafs
cp /mnt/redhat/etc/openafs/CellServDB .
cp /mnt/redhat/etc/openafs/CellAlias .
echo '' > ThisCell

rc-update add openafs-client default

(Again, the lazy copy-everything approach.)

Note: Also had to install ntp-* here, as afs complained about clock skew.


At this point afs works, but I don't get a token on login. To fix that I added:

auth       sufficient use_first_pass ignore_root /etc/pam.d/system-auth.


Now graphics!

At this point you are a high-functioning member of the SCS computing society; however, the graphics lab has some special needs:

Graphics NIS

The graphics NIS keeps graphics users in sync for things like NFS access and login.

emerge ypbind

Change in /etc/conf.d/net:


Add 'nis' to /etc/nsswitch.conf in the proper spots.

Graphics NFS

The graphics lab keeps some big disks around on NFS for extra shared space.

emerge nfs-utils (not sure if needed)
emerge autofs

Add 'nis' to 'automount' line in nsswitch.conf (as in file linked earlier).

Recompile kernel with NFS (was module, no good autoload...)

Add autofs and portmap to default runlevel.

Now Other Stuff!

Here's a few other things you might want.


...because ugly glue code is at its best in matlab.

Simply emulate the action of depot (walk over to afs, and copy the proper files). Or, just symlink -- which is what depot would have done for you anyway.


...otherwise you won't have anything to bring to your advisor meetings.

emerge cups

Turn off browsing in /etc/cups/cupsd.conf.

Copy /etc/cups/printers.conf from redhat or, um, depot or something. (Note: I'm not actually sure where printers.conf comes from. I do know that printcap is generated by dosupdepot; either it is converted, or maybe cups itself is in depot somewhere.)

Put cups in the proper runlevel; hope.


Talk to help desk first on this one. They know how they want things set up. For reference, they told me:


Had to run with -R:

./ -R GLIBC_2.4 (because 2.6 doesn't show up....)

Got some warnings + errors.

emerge xinetd //needed to run terad, it appears.
rc-update add xinitd default
/etc/services and /etc/xinet.d/terad seem 'ok'

running /usr/tibs/tibs with -A clears the:

ERROR: Cannot authenticate MY_HOST_NAME for host localhost without -A flag
ERROR: Connect to failed

Edited /etc/xinet.d/terad to add only_from =

Worried a bit about how secure terad is, but I'll live with it for now.

Note: you can check /usr/tibs/teralog.txt to make sure things are rolling along properly.

The End

Hope this helps someone before the information (as information tends to do) becomes stale and useless.